"I am an Alcoholic and I am a drug Addict and I am a Criminal"- James Frey,
A Million Little PiecesIt would seem, according to a
painstaking investigation by the Smoking Gun, that James Frey is also a massive liar, having concoted major portions of his "memoir,"
A Million Little Pieces.
What started out as TSG's search for Frey's mugshot - to go along with many other celebrities' - turned into a damning expose. And Frey has had to cop to embellishing the truth... though he stands by the truth of the book, even if there isn't a whole lot in there.
Right around the same time, someone else's house of cards came tumbling down. It seems that JT Leroy, author of
Sarah, is actually
not a twenty-someting, HiV+ man who used to be a teenage truckstop hustler, but rather a
complete fabrication created by the couple who supposedly took him in. All public appearances have been courtesy of his adoptive mother's sister-in-law, wearing a wig and dark sunglasses.
If true, both of these lies are reprehensible. These authors have sold ersatz personal tragedy to the masses and reaped the reward of cash and fame for things they just haven't done, and experiences they never went through. The books would have been fine if they'd just been works of fiction, but by calling them "memoirs" - or intimating that they based on the life of someone who never existed, in the case of "the Novel," "Sarah" - we do great injustice to the idea of what a memoir is supposed to be.
Then again, memoirs are always something of a dodgy business. How much of what Casanova or the Marquis de Sade wrote about their lives can be verified in any way, shape or form? And what about Papa Hemmingway? The very act of autobiography is always fraught with hubris, victimized by changing memories and subject to the twin temptations of grandstanding and - lets not beat around the bush, here - making shit up.
Yet, oddly enough, I find what Frey did to be terrible, and what "Leroy" did to be kind of funny in a sick sort of way.
Why? I think it's because, by and large, I find Leroy's whole shtick - with its peek-a-boo tale of underage transgender prostitution, and cloak-and-dagger angle - to be more of a hoax. And I love hoaxes:
Joey Skaggs is one of my personal heroes, even if I can hardly remember his name when pressed, and anyone who gets a good prank out and makes people think has done good in my eyes.
I cannot abide outright fraud, on the other hand. And from where I'm sitting, Frey's work has fraud writ large across it.
That said, I'm not really sure where the line can be drawn. Both sets of folks were clearly in it for the money. Both of them had multiple chances to say "ha! fooled you" and run away. And both of them have had the opportunity to fess up once the jig was up, and have tried to excuse it, instead.
(Then again, it's still early - "Leroy" may yet come clean, or be exonerated.)
Maybe it's more to do with the fact that Frey scammed Oprah, whose Book Club has become a hideous juggernaut of literary complacency. Millions of people who otherwise wouldn't deign to set foot in a library or bookstore can go read Oprah's books and feel good about themselves, instead of asking why they sit on the couch and be absorbed by the Spectacle. And a redemptive story of a white guy on drugs who pulls himself up by his bootstraps when the big system just knocks him down and chews him up instead of helping him out - a conservative message if there ever was one - is par for the course, there.
• Data records from another source follow:
********
89
Properties=species:S:1:pos:R:3:lowdin_charge:R:1 method="wB97M-V/def2-TZVPD" max_force_ev_per_a=3.74 total_charge=+3 homo_ev=-15.0 e_above_lowest_kcal_mol=85.2 total_energy_ev=-55642.0948 lumo_energy_ev=-12.2
Ba 35.696 -10.999 12.083 1.911
Ba 32.287 -13.018 12.130 1.919
C 33.586 -11.769 8.660 -0.340
O 34.715 -12.604 8.295 -0.143
O 33.619 -11.633 10.065 -0.524
C 33.498 -10.481 7.721 -0.547
F 33.079 -10.757 6.489 0.174
F 32.610 -9.615 8.185 0.171
F 34.664 -9.814 7.642 0.159
C 34.617 -13.312 7.041 -0.204
C 35.826 -14.261 7.006 -0.016
H 36.175 -14.645 7.964 0.066
H 35.602 -15.090 6.334 0.082
H 36.674 -13.699 6.614 0.077
H 34.537 -12.714 6.133 0.112
H 33.706 -13.904 6.952 0.090
H 32.720 -12.375 8.395 0.142
C 32.272 -6.006 6.918 -0.113
O 31.643 -7.230 6.460 -0.129
H 31.584 -5.161 6.917 0.088
H 32.576 -6.145 7.956 0.049
H 33.177 -5.743 6.370 0.071
H 32.322 -7.900 6.357 0.016
C 32.937 -15.554 9.124 -0.116
O 33.294 -14.898 10.295 -0.288
H 32.552 -14.825 8.412 0.069
H 33.797 -15.991 8.616 0.113
H 32.135 -16.272 9.294 0.109
H 34.251 -14.829 10.250 0.032
C 34.416 -7.512 4.003 -0.112
O 34.192 -8.190 5.215 -0.169
H 35.176 -7.993 3.387 0.085
H 33.504 -7.490 3.406 0.096
H 34.717 -6.498 4.267 0.094
H 33.858 -9.054 4.963 0.044
C 29.235 -11.589 6.759 -0.155
O 28.979 -12.911 6.339 -0.104
H 28.389 -10.965 6.471 0.098
H 29.400 -11.492 7.832 0.062
H 30.139 -11.133 6.356 0.058
H 29.439 -13.543 6.897 0.062
C 33.974 -7.594 10.086 -0.128
O 34.376 -8.751 10.746 -0.271
H 32.924 -7.305 10.122 0.107
H 34.566 -6.819 10.572 0.111
H 34.277 -7.782 9.056 0.066
H 33.671 -9.354 10.497 0.012
C 37.492 -15.108 10.705 -0.114
O 36.113 -15.298 10.939 -0.112
H 38.083 -14.861 11.587 0.097
H 37.932 -16.033 10.331 0.107
H 37.663 -14.434 9.866 0.064
H 35.765 -14.655 11.562 0.039
C 32.380 -11.167 2.266 -0.087
O 33.108 -10.689 3.450 -0.155
H 32.090 -10.285 1.695 0.090
H 33.082 -11.762 1.683 0.082
H 31.566 -11.864 2.464 0.068
H 33.469 -11.431 3.941 0.032
C 32.165 -17.039 5.299 -0.168
O 33.410 -16.468 5.219 -0.118
H 31.527 -16.541 4.570 0.086
H 32.106 -18.103 5.070 0.105
H 31.624 -16.735 6.195 0.070
H 34.100 -17.033 5.575 0.096
C 38.001 -11.554 8.843 -0.081
O 36.879 -11.759 9.695 -0.325
H 38.867 -11.310 9.458 0.100
H 38.295 -12.425 8.257 0.097
H 37.743 -10.732 8.175 0.082
H 36.142 -11.970 9.116 0.013
C 37.168 -10.847 4.966 -0.175
O 38.310 -11.582 4.639 -0.089
H 37.067 -10.020 4.262 0.089
H 36.201 -11.348 4.953 0.063
H 37.344 -10.384 5.937 0.050
H 38.177 -11.910 3.746 0.091
C 36.917 -7.467 7.661 -0.138
O 35.841 -6.768 7.018 -0.115
H 36.612 -7.883 8.621 0.044
H 37.318 -8.258 7.027 0.066
H 37.661 -6.702 7.883 0.091
H 35.329 -7.386 6.492 0.011
C 31.375 -13.569 4.761 -0.174
O 32.519 -13.931 4.025 -0.105
H 31.417 -14.131 5.694 0.055
H 31.370 -12.516 5.042 0.058
H 30.418 -13.782 4.285 0.096
H 32.830 -14.808 4.261 0.033


Record 1
Formula: C43H42P2Pb
Source: the OMol25 dataset
Level of theory: ωB97M-V/def2-TZVPD

```
88
Properties=species:S:1:pos:R:3
Pb -0.049 0.853 1.901
C -1.701 0.875 -4.773
********
"Leroy," on the other hand, pulled the coup of getting that exact same audience to care about the sort of person they might otherwise have had no sympathy for whatsoever: a "switcher" - a teen hustler in drag who catered to
homo truck-driving men. Sure, when they're a kid, you feel sorry for them, but when they're grown up, still gay and have AIDS... how many Oprah fans would really want to befriend such a person?
They would if they could read their tearjerking "memoir" - which is called "a novel," anyway - and that's the lesson of "Leroy." "A Million Little Pieces," on the other hand, just tells us what we already "know" - any white junkie can kick the habit (even if he never really kicks it) with a lot of toughness and grit.
That's what Frey's novel was about, apparently. The 17 publishers who turned it down did so because they'd heard it all before. Then someone at the 18th hole in the golf course said "say it's all true, Jimbo," and he did.
I'd say "that'll learn him," but the real lesson here is for us.